# Work order
It remains to search the lines further below for the word "the" and print each line that has it.
# Input
~~~
Entry 1:
This record from the Materials Project database describes a relaxed structure of MnGa2S4. The functional is PBE-GGA.

Output
Space group: I-4 (82)
Maximum piezoelectric response, C/m²: 0.164
Raw total energy, Ha/atom: -0.1912
Energy with MP2020 corrections, eV/atom: -5.49
Formation energy, eV/atom: -0.9512

extended XYZ file:
```
7
Lattice="3.2144 0.2756 5.6213 -3.8645 -2.5748 4.5214 1.8336 -2.3298 -5.7634" Properties=species:S:1:pos:R:3 pbc="T T T"
Mn -0.3250 -1.1496 5.0713
Ga 0.0000 0.0000 0.0000
Ga -1.1779 -3.0271 1.9147
S 0.5588 -2.6352 3.3861
S 0.7954 -1.3903 -1.6693
S 3.2411 -3.0260 0.9268
S -2.2282 -2.2066 6.1148
```

***

Entry 2:
This record from the Materials Project database describes a relaxed structure of Bi8Pt5I3. The functional is PBE-GGA.

Output
Space group: C2/m (12)
Raw total energy, Ha/atom: -0.1625
Size of the total moment, μB/atom: 0.000
Energy with MP2020 corrections, eV/atom: -4.49
Formation energy, eV/atom: -0.3643

extended XYZ file:
```
16
Lattice="2.0044 9.3145 0.0000 -2.0044 9.3145 0.0000 0.0000 5.2834 12.6275" Properties=species:S:1:pos:R:3 pbc="T T T"
Bi 0.0000 19.2217 6.0456
Bi 0.0000 4.6907 6.5818
Bi 0.0000 9.9076 9.1972
Bi 0.0000 14.0047 3.4303
Bi 0.0000 13.1308 9.8733
Bi 0.0000 10.7816 2.7541
Bi 0.0000 17.8560 12.2893
Bi 0.0000 6.0564 0.3382
Pt 0.0000 11.9562 6.3137
Pt 0.0000 21.1127 8.3078
Pt 0.0000 2.7997 4.3197
Pt 0.0000 20.3969 11.0108
Pt 0.0000 3.5155 1.6167
I 0.0000 0.0000 0.0000
I 0.0000 16.3034 8.4998
I 0.0000 7.6089 4.1277
```

***

Entry 3:
This record from the Materials Project database describes a relaxed structure of Rb2LaNb2ClO7. The functional is PBE-GGA.

Output
Space group: P4/mmm (123)
Raw total energy, Ha/atom: -0.2759
Size of the total moment, μB/atom: 0.002
Energy with MP2020 corrections, eV/atom: -7.88
Formation energy, eV/atom: -2.9874

extended XYZ file:
```
13
Lattice="3.9290 0.0000 0.0000 0.0000 3.9290 0.0000 0.0000 0.0000 15.1854" Properties=species:S:1:pos:R:3 pbc="T T T"
Rb 1.9645 1.9645 5.5645
Rb 1.9645 1.9645 9.6209
La 1.9645 1.9645 0.0000
Nb 0.0000 0.0000 2.3222
Nb 0.0000 0.0000 12.8633
Cl 0.0000 0.0000 7.5927
O 0.0000 1.9645 1.8837
O 0.0000 1.9645 13.3017
O 1.9645 0.0000 1.8837
O 1.9645 0.0000 13.3017
O 0.0000 0.0000 4.1310
O 0.0000 0.0000 11.0544
O 0.0000 0.0000 0.0000
```

***

Entry 4:
This record from the Materials Project database describes a relaxed structure of Mg14AlCO16. The functional is PBE-GGA.

Output
Relative energy among the computed polymorphs, kJ/mol of atoms: 3.2
Space group: P4/mmm (123)
Raw total energy, Ha/atom: -0.2185
Size of the total moment, μB/atom: 0.031
Energy with MP2020 corrections, eV/atom: -6.29
Formation energy, eV/atom: -2.7104

extended XYZ file:
```
32
Lattice="8.5632 0.0000 0.0000 0.0000 8.5632 0.0000 0.0000 0.0000 4.2012" Properties=species:S:1:pos:R:3 pbc="T T T"
Mg 4.2816 0.0000 0.0000
Mg 0.0000 4.2816 0.0000
Mg 2.1610 0.0000 2.1006
Mg 6.4022 0.0000 2.1006
Mg 2.1859 4.2816 2.1006
Mg 6.3772 4.2816 2.1006
Mg 0.0000 2.1610 2.1006
Mg 4.2816 2.1859 2.1006
Mg 0.0000 6.4022 2.1006
Mg 4.2816 6.3772 2.1006
Mg 2.1991 2.1991 0.0000
Mg 6.3641 2.1991 0.0000
Mg 2.1991 6.3641 0.0000
Mg 6.3641 6.3641 0.0000
Al 0.0000 0.0000 0.0000
C 4.2816 4.2816 0.0000
O 0.0000 1.9526 0.0000
O 4.2816 1.9619 0.0000
O 0.0000 6.6106 0.0000
O 4.2816 6.6013 0.0000
O 2.1444 2.1444 2.1006
O 6.4188 2.1444 2.1006
O 2.1444 6.4188 2.1006
O 6.4188 6.4188 2.1006
O 0.0000 0.0000 2.1006
O 4.2816 0.0000 2.1006
O 0.0000 4.2816 2.1006
O 4.2816 4.2816 2.1006
O 1.9526 0.0000 0.0000
O 6.6106 0.0000 0.0000
O 1.9619 4.2816 0.0000
O 6.6013 4.2816 0.0000
```

***

Entry 5:
This record from the Materials Project database describes a relaxed structure of Ti2Nb2Si3S3O24. The functional is PBE-GGA.

Output
Space group: P1 (1)
Raw total energy, Ha/atom: -0.2800
Size of the total moment, μB/atom: 0.000
Energy with MP2020 corrections, eV/atom: -8.10
Formation energy, eV/atom: -2.7098

extended XYZ file:
```
102
~~~
# Done
This record from the Materials Project database describes a relaxed structure of MnGa2S4. The functional is PBE-GGA.
This record from the Materials Project database describes a relaxed structure of Bi8Pt5I3. The functional is PBE-GGA.
Size of the total moment, μB/atom: 0.000
This record from the Materials Project database describes a relaxed structure of Rb2LaNb2ClO7. The functional is PBE-GGA.
Size of the total moment, μB/atom: 0.002
This record from the Materials Project database describes a relaxed structure of Mg14AlCO16. The functional is PBE-GGA.
Relative energy among the computed polymorphs, kJ/mol of atoms: 3.2
Size of the total moment, μB/atom: 0.031
This record from the Materials Project database describes a relaxed structure of Ti2Nb2Si3S3O24. The functional is PBE-GGA.
Size of the total moment, μB/atom: 0.000